There is an important principle that parents have to put in place when determining how to protect their children from harm. The principle is this: the human heart cannot live in a vacuum.
If you take away something from children that they consider to be good, their heart will seek something else to fill the void. So if, for the sake of protecting your children from harmful influences, you restrict their activities or access to certain things, make sure you give them healthy and satisfying replacements so they can pursue legitimate goods. If you tell them to stay off the internet, then get them involved in something else they really enjoy, such as sports, reading, drawing, or writing. If you tell them to cut off bad friendships, make sure you give them the opportunity to form new, healthy friendships.
Unrelated to this entry: calculated crystals >
........
The following is a DFT calculation (GGA-PBE) of HoRhO3 after structural relaxation.

Properties
Final energy   -6.94 eV per atom
Magnetic moment   0.00 μB per formula unit
Energy relative to the elements   -1.99 eV/atom
Total energy after the MP2020 corrections   -36.74 eV per cell
Symmetry   Pm-3m, No. 221

abc: 3.937 3.937 3.937
angles: 90.00 90.00 90.00
Positions (direct):
Ho 0.000 0.000 0.000
Rh 0.500 0.500 0.500
O 0.000 0.500 0.500
O 0.500 0.000 0.500
O 0.500 0.500 0.000

----------

Entry 1:
Entry from the Materials Project: a relaxed NdNi2Sn2 crystal (PBE).

abc: 6.1171 6.1171 6.1171
angles: 137.69 137.69 61.38
Last column: nearest neighbours and their distance in Å.
Fractional positions:
Nd: 0.0000 0.0000 0.0000  10 Sn 3.43-3.84, 8 Ni 3.43
Ni: 0.2500 0.7500 0.5000  4 Sn 2.52
Ni: 0.7500 0.2500 0.5000  4 Sn 2.52
Sn: 0.6353 0.6353 0.0000  4 Ni 2.52
Sn: 0.3647 0.3647 0.0000  4 Ni 2.52

**E**: -0.19659 hartree per atom
**Spin magnetization**: 0.0 μB/cell
**Calculated formation energy**: -0.480 eV per atom



Entry 2:
Entry from the Materials Project: a relaxed LiHf2Tc crystal (PBE).

abc: 4.6371 4.6371 4.6371
angles: 60.00 60.00 60.00
Last column: nearest neighbours and their distance in Å.
Fractional positions:
Li: 0.5000 0.5000 0.5000  8 Hf 2.84
Hf: 0.2500 0.2500 0.2500  4 Li 2.84, 4 Tc 2.84
Hf: 0.7500 0.7500 0.7500  4 Tc 2.84, 4 Li 2.84
Tc: 0.0000 0.0000 0.0000  8 Hf 2.84

**E**: -0.30418 hartree per atom
**Calculated formation energy**: -0.231 eV per atom



Entry 3:
Entry from the Materials Project: a relaxed BSbO3 crystal (PBE).

abc: 4.8460 6.0472 6.2209
angles: 80.97 68.56 66.61
Last column: nearest neighbours and their distance in Å.
Fractional positions:
B: 0.2706 0.9364 0.7077  3 O 1.38-1.40
B: 0.7294 0.0636 0.2923  3 O 1.38-1.40
Sb: 0.5494 0.2553 0.7659  3 O 2.00-2.05
Sb: 0.4506 0.7447 0.2341  3 O 2.00-2.05
O: 0.3165 0.7488 0.5824  1 B 1.38
O: 0.5196 0.9252 0.7785  1 B 1.40
O: 0.9975 0.1412 0.7679  1 B 1.38
O: 0.0025 0.8588 0.2321  1 B 1.38
O: 0.4804 0.0748 0.2215  1 B 1.40
O: 0.6835 0.2512 0.4176  1 B 1.38

**Total energy after the MP2020 corrections**: -73.6 eV per cell
**E**: -0.25523 hartree per atom
**Spin magnetization**: 0.0 μB/cell
**Calculated formation energy**: -2.227 eV per atom



Entry 4:
Entry from the Materials Project: a relaxed TaPbS2 crystal (PBE).

abc: 3.3748 3.3748 18.0334
angles: 90.00 90.00 120.00
Last column: nearest neighbours and their distance in Å.
Fractional positions:
Ta: 0.6667 0.3333 0.7500  6 S 2.49
Ta: 0.3333 0.6667 0.2500  6 S 2.49
Pb: 0.0000 0.0000 0.0000  2 S 2.96
Pb: 0.0000 0.0000 0.5000  2 S 2.96
S: 0.0000 0.0000 0.1642  3 Ta 2.49
S: 0.0000 0.0000 0.6642  3 Ta 2.49
S: 0.0000 0.0000 0.3358  3 Ta 2.49
S: 0.0000 0.0000 0.8358  3 Ta 2.49

**Total energy after the MP2020 corrections**: -56.7 eV per cell
**E**: -0.25108 hartree per atom
**Calculated formation energy**: -1.123 eV per atom



Entry 5:
Entry from the Materials Project: a relaxed TiSiOs crystal (PBE).

abc: 7.4024 7.4024 7.4024
........
Back to the entry >
With that in mind, here are some areas in which a parent ought to be very vigilant.
1. The Internet
-- Unrelated to this entry: calculated crystals --
<<<
Entry 1:
# CaCoGe2O6 (PBE+U, relaxed)
data_CaCoGe2O6
_cell_length_a 9.113
_cell_length_b 5.342
_cell_length_c 10.364
_cell_angle_alpha 75.07
_cell_angle_beta 90.00
_cell_angle_gamma 90.00
_symmetry_space_group_name_H-M 'P 1'
_symmetry_Int_Tables_number 1
loop_
_symmetry_equiv_pos_as_xyz
'x,y,z'
loop_
_atom_site_label
_atom_site_type_symbol
_atom_site_fract_x
_atom_site_fract_y
_atom_site_fract_z
Ca1 Ca 0.548 0.193 0.276
Ca2 Ca 0.048 0.307 0.724
Ca3 Ca 0.452 0.807 0.724
Ca4 Ca 0.952 0.693 0.276
Co1 Co 0.336 0.728 0.234
Co2 Co 0.836 0.772 0.766
Co3 Co 0.664 0.272 0.766
Co4 Co 0.164 0.228 0.234
Ge1 Ge 0.652 0.781 0.045
Ge2 Ge 0.152 0.719 0.955
Ge3 Ge 0.348 0.219 0.955
Ge4 Ge 0.848 0.281 0.045
Ge5 Ge 0.649 0.608 0.487
Ge6 Ge 0.149 0.892 0.513
Ge7 Ge 0.351 0.392 0.513
Ge8 Ge 0.851 0.108 0.487
O1 O 0.754 0.914 0.395
O2 O 0.254 0.586 0.605
O3 O 0.246 0.086 0.605
O4 O 0.746 0.414 0.395
O5 O 0.691 0.068 0.103
O6 O 0.191 0.432 0.897
O7 O 0.309 0.932 0.897
O8 O 0.809 0.568 0.103
O9 O 0.025 0.230 0.417
O10 O 0.525 0.270 0.583
O11 O 0.975 0.770 0.583
O12 O 0.475 0.730 0.417
O13 O 0.992 0.121 0.139
O14 O 0.492 0.379 0.861
O15 O 0.008 0.879 0.861
O16 O 0.508 0.621 0.139
O17 O 0.653 0.871 0.869
O18 O 0.153 0.629 0.131
O19 O 0.347 0.129 0.131
O20 O 0.847 0.371 0.869
O21 O 0.673 0.657 0.649
O22 O 0.173 0.843 0.351
O23 O 0.327 0.343 0.351
O24 O 0.827 0.157 0.649
# E: -6.49 eV/atom
# M_tot: 3.00 μB per formula unit
# ΔH_f (0 K): -2.263 eV/atom
# Energy above the lowest structure with this stoichiometry: 0.021 eV/atom

=====

Entry 2:
# CaCoGe2O6 (PBE+U, relaxed)
data_CaCoGe2O6
_cell_length_a 5.507
_cell_length_b 6.856
_cell_length_c 6.857
_cell_angle_alpha 82.69
_cell_angle_beta 78.61
_cell_angle_gamma 78.55
_symmetry_space_group_name_H-M 'P 1'
_symmetry_Int_Tables_number 1
loop_
_symmetry_equiv_pos_as_xyz
'x,y,z'
loop_
_atom_site_label
_atom_site_type_symbol
_atom_site_fract_x
_atom_site_fract_y
_atom_site_fract_z
Ca1 Ca 0.249 0.303 0.697
Ca2 Ca 0.750 0.697 0.303
Co1 Co 0.749 0.090 0.909
Co2 Co 0.250 0.908 0.092
Ge1 Ge 0.225 0.815 0.617
Ge2 Ge 0.275 0.383 0.186
Ge3 Ge 0.774 0.186 0.383
Ge4 Ge 0.726 0.617 0.814
O1 O 0.133 0.984 0.799
O2 O 0.367 0.201 0.016
O3 O 0.864 0.016 0.201
O4 O 0.636 0.799 0.983
O5 O 0.344 0.898 0.373
O6 O 0.156 0.627 0.102
O7 O 0.655 0.102 0.627
O8 O 0.846 0.374 0.898
O9 O 0.983 0.671 0.610
O10 O 0.517 0.389 0.329
O11 O 0.017 0.329 0.389
O12 O 0.483 0.611 0.671
# E: -6.51 eV/atom
# M_tot: 0.00 μB per formula unit
# ΔH_f (0 K): -2.284 eV/atom
# Energy above the lowest structure with this stoichiometry: 0.000 eV/atom

=====

Entry 3:
# Ca3Co2Ge3O12 (PBE+U, relaxed)
data_Ca3Co2Ge3O12
_cell_length_a 10.750
_cell_length_b 10.750
_cell_length_c 10.750
_cell_angle_alpha 109.47
_cell_angle_beta 109.47
_cell_angle_gamma 109.47
_symmetry_space_group_name_H-M 'P 1'
_symmetry_Int_Tables_number 1
loop_
_symmetry_equiv_pos_as_xyz
'x,y,z'
loop_
_atom_site_label
_atom_site_type_symbol
_atom_site_fract_x
_atom_site_fract_y
_atom_site_fract_z
>>>
Although nearly everyone today recognizes the dangers of the internet, most parents who are over forty have not fully grasped the ways in which the internet can harm their children. For parents of this age group, the internet did not exist when they were children. It was something they first encountered as mature adults, and by then they already had sufficient awareness and moral habits that serve as a kind of built-in caution against the dangers of the internet. Parents from this generation are thus simply not suspicious enough to protect their children sufficiently.
My experience as a priest tells me that most young people get exposed to harmful things online, such as pornography, before they are even teenagers. And this exposure can lead to serious moral problems that greatly discourage young people and lead them to despair of being able to keep the moral teachings of the Church.
With regard to pornography, parents should realize that the internet is not passive. It is always fishing for children. A child may be looking at a perfectly legitimate site, but in a sidebar or in the ads there is something funny or interesting designed to catch the attention of a child. A few clicks can lead to another set of sidebars or ads that are salacious or immodest. From there, explicitly pornographic (and often violent) photos and videos may be just a short surf away— sometimes even disguised as something else to attract a child’s curiosity.
• Next to the article, the page also holds crystal structures:
(1)
! Li6V3P8O29, relaxed, DFT PBE+U; values from VASP
! **M_tot**: 0.065 μB per atom
! **E (MP2020)**: -347.6 eV per formula unit
! **Total energy**: -7.01 eV/atom
! **Distance to the lowest polymorph of the same formula**: 9.2 meV/atom
! **Space group**: P1, No. 1
&SYSTEM
  ibrav = 0, nat = 92, ntyp = 4
/
ATOMIC_SPECIES
Li 6.94 Li.upf
V 50.94 V.upf
P 30.97 P.upf
O 16.00 O.upf
CELL_PARAMETERS angstrom
9.798 0.000 0.000
4.881 8.525 0.000
0.012 0.123 13.984
ATOMIC_POSITIONS angstrom
Li 0.000 0.000 0.000
Li 2.122 3.694 6.197
Li 0.081 0.081 6.917
Li 2.866 4.898 13.272
Li 7.136 6.476 11.568
Li 7.030 4.811 6.179
Li 9.220 8.608 13.279
Li 10.471 8.524 6.201
Li 9.508 5.535 5.208
Li 9.807 5.723 12.568
Li 12.551 6.455 4.510
Li 10.574 2.962 11.608
V 4.328 5.635 1.921
V 2.212 1.976 8.868
V 2.815 0.825 2.000
V 5.620 5.679 8.966
V 7.677 1.931 1.876
V 7.090 0.886 8.946
P 4.889 8.505 3.571
P 4.984 8.549 10.585
P 4.902 2.758 0.225
P 4.968 2.851 7.218
P 7.232 6.442 0.593
P 7.895 7.570 7.640
P 9.152 8.393 10.211
P 7.245 4.901 3.150
P 10.534 8.302 3.242
P 7.973 3.772 10.225
P 9.169 3.074 7.577
P 11.781 7.495 0.644
P 10.503 2.954 0.647
P 12.525 6.483 7.635
P 12.483 4.970 10.209
P 11.817 3.727 3.216
O 4.869 8.538 5.071
O 4.143 7.211 3.084
O 0.811 1.313 9.981
O 2.953 4.971 3.130
O 0.144 0.116 12.086
O 2.129 3.538 10.121
O 1.402 1.576 0.787
O 4.256 6.624 7.823
O 4.230 4.978 9.960
O 2.824 2.431 3.071
O 6.344 8.497 2.982
O 5.810 7.289 10.116
O 3.477 2.867 7.808
O 4.187 4.046 0.745
O 5.693 6.558 0.772
O 2.137 0.330 7.748
O 5.693 4.958 2.949
O 3.528 1.196 10.014
O 4.893 2.873 5.725
O 4.167 1.504 0.854
O 6.915 6.357 7.657
O 7.824 7.862 0.645
O 4.882 2.772 12.722
O 5.721 4.089 7.797
O 9.028 8.502 3.150
O 6.996 4.989 10.184
O 7.697 5.857 13.331
O 8.786 7.682 11.490
O 7.663 5.571 4.426
O 8.734 7.408 9.008
O 8.842 7.502 6.491
O 7.839 5.690 1.883
O 6.335 2.713 0.862
O 5.642 1.545 7.764
O 7.728 3.467 3.065
O 5.790 0.094 10.072
O 6.413 1.096 3.081
O 7.210 2.454 10.056
O 8.734 3.919 6.419
O 10.803 7.485 13.509
O 10.921 7.548 4.505
O 8.886 3.932 8.903
O 8.903 3.892 11.394
O 10.978 7.329 2.024
O 11.904 7.902 7.614
O 8.995 2.736 0.640
O 8.462 1.691 7.745
O 7.746 0.264 0.696
O 9.097 1.188 2.898
O 13.380 8.495 9.936
O 11.889 5.759 8.932
O 10.857 3.868 1.929
O 11.006 3.843 4.476
O 10.981 3.843 13.402
O 12.136 5.692 6.408
O 12.091 5.619 11.495
O 10.694 2.803 7.558
O 12.788 6.298 0.637


(2)
! La2MgZnMoO6, relaxed, DFT PBE+U; values from VASP
! **M_tot**: 0.182 μB per atom
! **E (MP2020)**: -81.9 eV per formula unit
! **Total energy**: -6.78 eV/atom
! **Distance to the lowest polymorph of the same formula**: 14.2 meV/atom
! **Space group**: P1, No. 1
&SYSTEM
  ibrav = 0, nat = 11, ntyp = 5
/
ATOMIC_SPECIES
La 138.91 La.upf
Mg 24.30 Mg.upf
Zn 65.41 Zn.upf
Mo 95.94 Mo.upf
O 16.00 O.upf
CELL_PARAMETERS angstrom
5.736 0.000 0.000
-0.726 5.694 0.000
-2.039 -3.034 5.158
ATOMIC_POSITIONS angstrom
La 0.000 0.000 0.000
La 0.757 -0.285 3.817
Mg 1.968 2.753 1.900
Zn -0.948 2.820 1.685
Pornography is not the only danger with which the internet threatens children. There are also other serious dangers. For example, there are child abusers posing as other children, offering friendship and companionship; false teachers who try to fill the minds of young people with harmful doctrines; financial scams; and of course all manner of profane entertainments that harm the spirit.
These days, most parents recognize the need to have passwords and other protections on their computers, but because they are often not as up to date on technology as their children, they do not realize the many loopholes that can circumvent those protections.
Not long ago I was speaking to a friend of mine who has teenage sons. I asked him if he had everything carefully monitored, and he assured me that he had. For example, his sons had only flip-phones that did not have internet access. I then asked him, “Do the phones allow photo attachments with text messages?” He said they probably did, but he didn’t suspect that would be a problem until I persuaded him that it could be. A couple weeks after he made sure the phones could not receive images, a member of his son’s soccer team sent out a group text message with a violent pornographic image attached, and his son was the only one on the team who didn’t see it.
The moral of such stories is that you need to be suspicious in a healthy way, ceaselessly vigilant. You should also avail yourself of the knowledge of experts to make sure your measures to protect your kids keep up with the threats and the technological developments. It is a serious inconvenience sometimes, but your children’s innocence and safety are worth it.
2. Bad Relationships
Another way that children are tempted to abandon the practice of their Catholic faith is through bad friendships, especially bad romantic relationships. St. Paul warns frankly, “Do not be deceived: ‘Bad company ruins good morals’” (1 Cor. 15:33).
Friendship is one of the greatest goods of human life, and one of the most important steps in a young person’s life is the formation of his own friendships. But it is important that these friendships are not parallel relationships that exist in isolation from your family relationships. The most healthy friendships and relationships are integrated into the existing family relationships that young people already have. When they are otherwise, two very important elements of a person’s life can come into conflict and cause one or the other (for teenagers, usually the family) to be rejected.
The best situation is where Catholic families form family friendships with other, like-minded Catholic families. This provides a healthy setting for socializing children in a context larger than the immediate family and also creates opportunities for strong, loving relationships to form, reinforcing the virtues and the faith of children.
A particular difficulty arises with regard to romantic relationships. The age at which reproduction is possible is typically in the early teens, sometimes as early as twelve or thirteen years old. This is an indication that nature intends members of our species to reproduce shortly after this age. Nevertheless, our culture is such that the requirements of providing for a family and of acquiring the requisite knowledge and virtues for family life often are not possible until the early twenties. And so there is about a ten-year gap between the natural inclination to marry and the circumstances in which marriage is reasonable.
All this means that much self-discipline will be required on the part of young persons dating members of the opposite sex, and much prudence and discernment on the part of parents. As one experienced father of a large family counseled me, “Raising a teenager is like catching a fifty-pound fish with a five-pound line.”
One of the most important things you can do is to make sure your children invite their friends, especially persons of romantic interest, over to your home. This at once assures your children that you are open to permitting them to form friendships with people outside your family and also allows you to evaluate the quality of their relationships. (It also helps build integration, rather than division, between their friendships and their family life.) If you can tell that the friendships are healthy and that their families are healthy, then you can consider allowing your children to visit the homes of their friends.
To sum up: Parents, understand that the education of your children—and that includes protecting them from bad influences and fostering good relationships—is precisely the common activity that constitutes the reason for your marriage. The more intentional you are about directly cooperating in the education of your children, the stronger your marriage will become. No one cares about your children as much as you do. And that means the care of your children belongs to you.